Off-Campus Study Department Hosts Study Abroad Fair
The Off-Campus Study Department hosted a Study Abroad Fair on Sep. 28. The fair advertised the Colgate Study groups for Fall 2023 and Spring 2024. The application cycle for study abroad officially opened on Sep. 27 and the deadline for applications is Nov. 2.
Cas Sowa, Associate Director for Off-Campus Study, mainly works with the Colgate-approved programs, which were not represented at the fair.
“I do work with some of the Colgate study groups. So we help students and advise students on programs,” Sowa said. “We help arrange some programs and we coordinate activities with our approved partner programs as well. We had a really good turnout the first 20 to 30 minutes of the fair. It got quite busy. It was a bit overwhelming I think for some of the tables because all of the students kind of came in at once.”
The purpose of the fair was to promote the Colgate study abroad programs. Each had their own table at the fair run by the program’s faculty director.
“Colgate runs anywhere between 17 to 22 or 23 of our own faculty-led semester study groups,” Sowa explained. “And then there is always anywhere between two to maybe six extended study programs that are offered in a given year.”
Planning for both the fair and study abroad began a year ago with faculty from different departments interested in taking a group abroad.
“Faculty apply for their programs and they’re approved internally through the academic departments to be leading those programs,” Sowa said. “Once all of that is finalized, our office then works with those individual faculty members so that we can get publicity out for those programs. The study fair is our official launch of the programs for next year.”
Students that attended the fair met the faculty directors for each program and were provided with information on the program and the application process itself. Students can begin applying now for programs taking place next year. Students can submit their application up until Nov. 2 — Sowa explained that applying earlier does not provide any specific benefit.
After the application deadline, faculty directors will interview students and make their final decisions by the end of December. Sowa explained that anywhere between 60 to 65 percent of a graduating class studies abroad. Sowa gave many reasons as to why students should consider applying.
“Students should look at this as part of their Colgate degree. That this is an option for them just like anything else, just like the courses they are taking or which [concentration] that they choose,” Sowa said.
Studying abroad can help students become more focused on what it is they want to study, Sowa explained. It provides students with a different experience than what one would get on campus.
“No matter what you do when you’re beyond Colgate, you’re going to be working for people from all different types of communities, so this is a good exposure in getting that experience and kind of being put into a new situation so that you can handle yourself and survive and be a success in that situation and use those skills for whatever you are doing beyond Colgate,” Sowa said.
Sowa also went into detail on the difficulties regarding COVID-19 in the department.
“Some program locations are just starting to open up. So [last year] we did have to cancel a lot of programs,” Sowa said. “We tried to create programs during COVID as best as we could and in many cases, we had to cancel just because of government regulations or health and safety reasons. But I think Colgate reopened options for students a little bit more quickly than some other institutions and students last year both Fall and Spring semester were able to still participate in programs.”
# Next to the page, the page also holds crystal structures
-- begin --
AsRuPt2 after structural relaxation, computed with PBEsol.

Structure (CIF):
```
data_AsRuPt2
_chemical_formula_sum 'As1 Ru1 Pt2'
_cell_length_a 2.797
_cell_length_b 2.797
_cell_length_c 7.699
_cell_angle_alpha 90.00
_cell_angle_beta 90.00
_cell_angle_gamma 90.00
_space_group_name_H-M_alt 'P 4/m m m'
_space_group_IT_number 123
_space_group_name_Hall '-P 4 2'
loop_
_atom_site_label
_atom_site_type_symbol
_atom_site_fract_x
_atom_site_fract_y
_atom_site_fract_z
As1 As 0.000 0.000 0.000
Ru1 Ru 0.000 0.000 0.500
Pt1 Pt 0.500 0.500 0.260
```

The value obtained for the calculated density is 15.61 Mg/m³. Its formation energy from the elements is 0.12 eV/atom.
-- stop --
# Back to the page
Sophomores Diya Mehta and Laine Girolamo attended the fair and both said they are planning to study abroad.
“I think, obviously, being away at college is definitely very freeing and you have an independent life, but being in another country or away from home even further is something that teaches you skills on how to communicate with different types of people and meet a more diverse group of people,” Mehta said. “Since you’re not on campus you’re learning how to live on your own in a new country which is a lot more skills than just learning how to live on a campus where stuff is provided for you.”
Mehta heard about the fair at a study abroad information session. Giralamo heard about it through an upperclassman who had been through the process.
“I mean, just to have the opportunity is great. Colgate has all these experiences that I really want to just try out. So, ‘why not?’ is the real answer. I’m interested in the Scotland program just because I’m a philosophy [concentrator] and I really like the professor who is running it,” Giralamo said.
Both students found the fair helpful in gathering information as they embark on the application process. Students have many options to choose from, whether it is a Colgate study group or an approved program with transfer credit.
“I just hope the students consider it, whether they end up going abroad or not. I think it’s a great option for a lot of students to really enhance their degree program and their four years here at Colgate,” Sowa said.

Ellie Weber is a senior from New York, N.Y., concentrating in political science. She has previously served as a staff writer for the News section and News...